........
! GGA-PBE HfSiW, relaxed; values from VASP
! crystal system	orthorhombic
! SG	Pnma, No. 62
&SYSTEM
  ibrav = 0, nat = 12, ntyp = 3
/
ATOMIC_SPECIES
Hf 178.49 Hf.upf
Si 28.09 Si.upf
W 183.84 W.upf
ATOMIC_POSITIONS crystal
Hf 0.2500 0.5418 0.1675
Hf 0.7500 0.9582 0.6675
Hf 0.2500 0.0418 0.3325
Hf 0.7500 0.4582 0.8325
Si 0.2500 0.2561 0.6383
Si 0.7500 0.7439 0.3617
Si 0.7500 0.2439 0.1383
Si 0.2500 0.7561 0.8617
W 0.7500 0.3661 0.4380
W 0.7500 0.8661 0.0620
W 0.2500 0.1339 0.9380
W 0.2500 0.6339 0.5620
CELL_PARAMETERS angstrom
-3.1281 1.4651 -0.7133
-3.1652 -4.9651 3.6824
0.6201 4.6095 6.7481

! GGA-PBE HfSiW, relaxed; values from VASP
! crystal system	orthorhombic
! SG	Amm2, No. 38
&SYSTEM
  ibrav = 0, nat = 12, ntyp = 3
/
ATOMIC_SPECIES
Si 28.09 Si.upf
Hf 178.49 Hf.upf
W 183.84 W.upf
ATOMIC_POSITIONS crystal
Si 0.1779 0.8208 0.7500
Si 0.1779 0.3571 0.7500
Si 0.9859 0.9930 0.4971
Si 0.9859 0.9930 0.0029
Hf 0.6670 0.3335 0.9354
Hf 0.3349 0.6675 0.4380
Hf 0.6670 0.3335 0.5646
Hf 0.3349 0.6675 0.0620
W 0.8246 0.1670 0.2500
W 0.3332 0.1666 0.2500
W 0.8246 0.6576 0.2500
W 0.6860 0.8430 0.7500
CELL_PARAMETERS angstrom
-2.5771 -4.5540 0.0000
-2.6551 4.5990 0.0000
0.0000 0.0000 -8.5437

! GGA-PBE Sm3Hf, relaxed; values from VASP
! E above lowest polymorph	0	meV/atom
! crystal system	cubic
! SG	Pm-3m, No. 221
&SYSTEM
  ibrav = 0, nat = 4, ntyp = 2
/
ATOMIC_SPECIES
Sm 150.36 Sm.upf
Hf 178.49 Hf.upf
ATOMIC_POSITIONS crystal
Sm 0.5000 0.0000 0.5000
Sm 0.5000 0.5000 0.0000
Sm 0.0000 0.5000 0.5000
Hf 0.0000 0.0000 0.0000
CELL_PARAMETERS angstrom
-2.3733 -4.1281 -1.3279
4.1479 -2.6026 0.6772
-1.2646 -0.7891 4.7133

! GGA-PBE Sm3Hf, relaxed; values from VASP
! E above lowest polymorph	5	meV/atom
! crystal system	tetragonal
! SG	I4/mmm, No. 139
&SYSTEM
  ibrav = 0, nat = 4, ntyp = 2
/
ATOMIC_SPECIES
Sm 150.36 Sm.upf
Hf 178.49 Hf.upf
ATOMIC_POSITIONS crystal
Sm 0.2500 0.7500 0.5000
Sm 0.5000 0.5000 0.0000
Sm 0.7500 0.2500 0.5000
Hf 0.0000 0.0000 0.0000
CELL_PARAMETERS angstrom
5.4339 -1.8115 -1.8446
4.2102 2.8480 3.2208
-4.8814 -3.0974 1.6701

no.,DFT formation energy (eV/atom)
1,-0.6268
2,-0.3476
3,0.1749
4,0.1803


# 1
Computed, not measured: a geometry-optimized Cu3P4O14 structure at the PBE level of DFT.

Unit cell a=4.847 b=7.037 c=8.482 alpha=67.97 beta=75.66 gamma=72.09
Fractional positions:
1 Cu 0.036 0.169 0.559
2 Cu 0.964 0.831 0.441
3 Cu 0.000 0.000 0.000
4 O 0.783 0.843 0.959
5 O 0.303 0.521 0.733
6 O 0.692 0.669 0.519
7 O 0.174 0.713 0.266
8 O 0.321 0.945 0.815
9 O 0.704 0.598 0.835
10 O 0.817 0.948 0.629
11 O 0.296 0.402 0.165
12 O 0.308 0.331 0.481
13 O 0.697 0.479 0.267
14 O 0.679 0.055 0.185
15 O 0.826 0.287 0.734
16 O 0.217 0.157 0.041
17 O 0.183 0.052 0.371
18 P 0.377 0.487 0.297
19 P 0.650 0.842 0.816
20 P 0.350 0.158 0.184
21 P 0.623 0.513 0.703

Summary:
The calculation puts the MP2020-corrected energy at -6.89 eV/atom. The space group is P-1, No. 2. The value obtained for the formation energy is -1.975 eV/atom.

***

# 2
Computed, not measured: a geometry-optimized CuP3O9 structure at the PBE level of DFT.

Unit cell a=8.383 b=8.500 c=8.583 alpha=90.00 beta=90.00 gamma=90.00
Fractional positions:
1 O 0.953 0.279 0.847
2 O 0.660 0.648 0.607
3 O 0.396 0.602 0.828
4 O 0.598 0.623 0.079
5 O 0.354 0.534 0.242
6 O 0.636 0.314 0.370
7 O 0.453 0.221 0.153
8 O 0.146 0.466 0.742
9 O 0.896 0.898 0.172
10 O 0.646 0.034 0.258
11 O 0.680 0.416 0.852
12 O 0.411 0.376 0.625
13 O 0.364 0.814 0.130
14 O 0.340 0.148 0.893
15 O 0.320 0.916 0.648
16 O 0.098 0.877 0.921
17 O 0.104 0.398 0.328
18 O 0.180 0.084 0.148
19 O 0.713 0.138 0.947
20 O 0.047 0.779 0.653
21 O 0.864 0.686 0.870
22 O 0.902 0.377 0.579
23 O 0.854 0.966 0.758
24 O 0.787 0.862 0.447
25 O 0.287 0.638 0.553
26 O 0.604 0.102 0.672
27 O 0.820 0.584 0.352
28 O 0.589 0.876 0.875
29 O 0.840 0.352 0.107
30 O 0.213 0.362 0.053
31 O 0.911 0.124 0.375
32 O 0.402 0.123 0.421
33 O 0.089 0.624 0.125
34 O 0.160 0.852 0.393
35 O 0.136 0.186 0.630
36 O 0.547 0.721 0.347
37 Cu 0.869 0.355 0.350
........
What is needed: set down everything earlier on verbatim.
! GGA-PBE HfSiW, relaxed; values from VASP
! crystal system	orthorhombic
! SG	Pnma, No. 62
&SYSTEM
  ibrav = 0, nat = 12, ntyp = 3
/
ATOMIC_SPECIES
Hf 178.49 Hf.upf
Si 28.09 Si.upf
W 183.84 W.upf
ATOMIC_POSITIONS crystal
Hf 0.2500 0.5418 0.1675
Hf 0.7500 0.9582 0.6675
Hf 0.2500 0.0418 0.3325
Hf 0.7500 0.4582 0.8325
Si 0.2500 0.2561 0.6383
Si 0.7500 0.7439 0.3617
Si 0.7500 0.2439 0.1383
Si 0.2500 0.7561 0.8617
W 0.7500 0.3661 0.4380
W 0.7500 0.8661 0.0620
W 0.2500 0.1339 0.9380
W 0.2500 0.6339 0.5620
CELL_PARAMETERS angstrom
-3.1281 1.4651 -0.7133
-3.1652 -4.9651 3.6824
0.6201 4.6095 6.7481

! GGA-PBE HfSiW, relaxed; values from VASP
! crystal system	orthorhombic
! SG	Amm2, No. 38
&SYSTEM
  ibrav = 0, nat = 12, ntyp = 3
/
ATOMIC_SPECIES
Si 28.09 Si.upf
Hf 178.49 Hf.upf
W 183.84 W.upf
ATOMIC_POSITIONS crystal
Si 0.1779 0.8208 0.7500
Si 0.1779 0.3571 0.7500
Si 0.9859 0.9930 0.4971
Si 0.9859 0.9930 0.0029
Hf 0.6670 0.3335 0.9354
Hf 0.3349 0.6675 0.4380
Hf 0.6670 0.3335 0.5646
Hf 0.3349 0.6675 0.0620
W 0.8246 0.1670 0.2500
W 0.3332 0.1666 0.2500
W 0.8246 0.6576 0.2500
W 0.6860 0.8430 0.7500
CELL_PARAMETERS angstrom
-2.5771 -4.5540 0.0000
-2.6551 4.5990 0.0000
0.0000 0.0000 -8.5437

! GGA-PBE Sm3Hf, relaxed; values from VASP
! E above lowest polymorph	0	meV/atom
! crystal system	cubic
! SG	Pm-3m, No. 221
&SYSTEM
  ibrav = 0, nat = 4, ntyp = 2
/
ATOMIC_SPECIES
Sm 150.36 Sm.upf
Hf 178.49 Hf.upf
ATOMIC_POSITIONS crystal
Sm 0.5000 0.0000 0.5000
Sm 0.5000 0.5000 0.0000
Sm 0.0000 0.5000 0.5000
Hf 0.0000 0.0000 0.0000
CELL_PARAMETERS angstrom
-2.3733 -4.1281 -1.3279
4.1479 -2.6026 0.6772
-1.2646 -0.7891 4.7133

! GGA-PBE Sm3Hf, relaxed; values from VASP
! E above lowest polymorph	5	meV/atom
! crystal system	tetragonal
! SG	I4/mmm, No. 139
&SYSTEM
  ibrav = 0, nat = 4, ntyp = 2
/
ATOMIC_SPECIES
Sm 150.36 Sm.upf
Hf 178.49 Hf.upf
ATOMIC_POSITIONS crystal
Sm 0.2500 0.7500 0.5000
Sm 0.5000 0.5000 0.0000
Sm 0.7500 0.2500 0.5000
Hf 0.0000 0.0000 0.0000
CELL_PARAMETERS angstrom
5.4339 -1.8115 -1.8446
4.2102 2.8480 3.2208
-4.8814 -3.0974 1.6701

no.,DFT formation energy (eV/atom)
1,-0.6268
2,-0.3476
3,0.1749
4,0.1803


# 1
Computed, not measured: a geometry-optimized Cu3P4O14 structure at the PBE level of DFT.

Unit cell a=4.847 b=7.037 c=8.482 alpha=67.97 beta=75.66 gamma=72.09
Fractional positions:
1 Cu 0.036 0.169 0.559
2 Cu 0.964 0.831 0.441
3 Cu 0.000 0.000 0.000
4 O 0.783 0.843 0.959
5 O 0.303 0.521 0.733
6 O 0.692 0.669 0.519
7 O 0.174 0.713 0.266
8 O 0.321 0.945 0.815
9 O 0.704 0.598 0.835
10 O 0.817 0.948 0.629
11 O 0.296 0.402 0.165
12 O 0.308 0.331 0.481
13 O 0.697 0.479 0.267
14 O 0.679 0.055 0.185
15 O 0.826 0.287 0.734
16 O 0.217 0.157 0.041
17 O 0.183 0.052 0.371
18 P 0.377 0.487 0.297
19 P 0.650 0.842 0.816
20 P 0.350 0.158 0.184
21 P 0.623 0.513 0.703

Summary:
The calculation puts the MP2020-corrected energy at -6.89 eV/atom. The space group is P-1, No. 2. The value obtained for the formation energy is -1.975 eV/atom.

***

# 2
Computed, not measured: a geometry-optimized CuP3O9 structure at the PBE level of DFT.

Unit cell a=8.383 b=8.500 c=8.583 alpha=90.00 beta=90.00 gamma=90.00
Fractional positions:
1 O 0.953 0.279 0.847
2 O 0.660 0.648 0.607
3 O 0.396 0.602 0.828
4 O 0.598 0.623 0.079
5 O 0.354 0.534 0.242
6 O 0.636 0.314 0.370
7 O 0.453 0.221 0.153
8 O 0.146 0.466 0.742
9 O 0.896 0.898 0.172
10 O 0.646 0.034 0.258
11 O 0.680 0.416 0.852
12 O 0.411 0.376 0.625
13 O 0.364 0.814 0.130
14 O 0.340 0.148 0.893
15 O 0.320 0.916 0.648
16 O 0.098 0.877 0.921
17 O 0.104 0.398 0.328
18 O 0.180 0.084 0.148
19 O 0.713 0.138 0.947
20 O 0.047 0.779 0.653
21 O 0.864 0.686 0.870
22 O 0.902 0.377 0.579
23 O 0.854 0.966 0.758
24 O 0.787 0.862 0.447
25 O 0.287 0.638 0.553
26 O 0.604 0.102 0.672
27 O 0.820 0.584 0.352
28 O 0.589 0.876 0.875
29 O 0.840 0.352 0.107
30 O 0.213 0.362 0.053
31 O 0.911 0.124 0.375
32 O 0.402 0.123 0.421
33 O 0.089 0.624 0.125
34 O 0.160 0.852 0.393
35 O 0.136 0.186 0.630
36 O 0.547 0.721 0.347
37 Cu 0.869 0.355 0.350